As per usual, interesting links from the depths of the internets:
- How Far Was Rocky’s Famous Run in Rocky II? – Spoiler: 30.61 miles. And I think that’s a pretty conservative number. Dude is ping-ponging all over the city. Still good detective work here.
- Back to the Blog – Apparently there are some social-media-addled users who are attempting to “re-decentralize” the web, something that is easier said than done, and yet somehow already here (and always has been). I mean, nothing forces you to spend all your time on Facebook and Twitter but yourself.
It is psychological gravity, not technical inertia, however, that is the greater force against the open web. Human beings are social animals and centralized social media like Twitter and Facebook provide a powerful sense of ambient humanity—the feeling that “others are here”—that is often missing when one writes on one’s own site. Facebook has a whole team of Ph.D.s in social psychology finding ways to increase that feeling of ambient humanity and thus increase your usage of their service.
**Records of crystals that have nothing to do with the text**
Run w
An optimized crystal structure of TiBi3Sb, computed with PBE-GGA.

abc: 5.421 5.421 5.421
angles: 90.00 90.00 90.00
Atoms (fractional coordinates):
1 Sb 0.500 0.500 0.500
2 Bi 0.000 0.000 0.500
3 Bi 0.000 0.500 0.000
4 Bi 0.500 0.000 0.000
5 Ti 0.000 0.000 0.000

* space-group type: Pm-3m, No. 221



Run x
An optimized crystal structure of TiBi3Sb, computed with PBE-GGA.

abc: 5.747 5.747 5.747
angles: 90.00 90.00 90.00
Last column: magnetic moment on the atom in μB.
Atoms (fractional coordinates):
1 Bi 0.000 0.500 0.000  0.06
2 Bi 0.500 0.000 0.000  0.07
3 Bi 0.000 0.000 0.500  0.02
4 Sb 0.000 0.000 0.000  0.00
5 Ti 0.500 0.500 0.500  -0.01

* space-group type: Pm-3m, No. 221



run w has the most favorable energy; the next structure is 79.2 kJ/mol of atoms above.



Run w
An optimized crystal structure of Tl2BiSb, computed with PBE-GGA.

abc: 5.449 5.449 5.449
angles: 113.38 113.38 101.90
Atoms (fractional coordinates):
1 Bi 0.250 0.750 0.500
2 Tl 0.000 0.000 0.000
3 Tl 0.500 0.500 0.000
4 Sb 0.750 0.250 0.500

* space-group type: I4/mmm, No. 139



Run x
An optimized crystal structure of Tl2BiSb, computed with PBE-GGA.

abc: 5.564 5.564 5.564
angles: 60.00 60.00 60.00
Atoms (fractional coordinates):
1 Bi 0.000 0.000 0.000
2 Tl 0.250 0.250 0.250
3 Tl 0.750 0.750 0.750
4 Sb 0.500 0.500 0.500

* space-group type: Fm-3m, No. 225



Run y
An optimized crystal structure of Tl2BiSb, computed with PBE-GGA.

abc: 5.447 4.774 4.774
angles: 90.00 90.00 90.00
Atoms (fractional coordinates):
1 Tl 0.000 0.000 0.500
2 Tl 0.000 0.500 0.000
3 Sb 0.500 0.000 0.000
4 Bi 0.500 0.500 0.500

* space-group type: P4/mmm, No. 123



run y has the most favorable energy; the next structure is 6.9 kJ/mol of atoms above.



Run w
An optimized crystal structure of V2Bi2Sb, computed with PBE-GGA.

abc: 5.127 5.127 6.130
angles: 65.28 65.28 90.00
Last column: magnetic moment on the atom in μB.
Atoms (fractional coordinates):
1 Bi 0.351 0.351 0.298  -0.12
2 Bi 0.649 0.649 0.702  -0.12
3 V 0.250 0.750 0.500  1.92
4 V 0.750 0.250 0.500  1.92
5 Sb 0.000 0.000 0.000  -0.14

* space-group type: I4/mmm, No. 139



Run x
An optimized crystal structure of V2Bi2Sb, computed with PBE-GGA.

abc: 8.667 8.667 3.269
angles: 90.00 90.00 90.00
Last column: magnetic moment on the atom in μB.
Atoms (fractional coordinates):
1 V 0.644 0.856 0.500  2.56
2 V 0.356 0.144 0.500  2.56
3 V 0.856 0.356 0.500  2.56
4 V 0.144 0.644 0.500  2.56
5 Sb 0.000 0.000 0.000  -0.03
6 Sb 0.500 0.500 0.000  -0.03
7 Bi 0.652 0.152 0.000  -0.10
8 Bi 0.152 0.348 0.000  -0.10
9 Bi 0.848 0.652 0.000  -0.10
10 Bi 0.348 0.848 0.000  -0.10

* space-group type: P4/mbm, No. 127



run x has the most favorable energy; the next structure is 6.1 kJ/mol of atoms above.



Run w
An optimized crystal structure of Bi3SbW, computed with PBE-GGA.

abc: 5.399 5.399 5.399
angles: 90.00 90.00 90.00
Atoms (fractional coordinates):
1 Bi 0.000 0.500 0.000
2 Bi 0.500 0.000 0.000
3 Bi 0.000 0.000 0.500
4 W 0.000 0.000 0.000
**Here the text continues**
A lot of the things that blogging relied on have disappeared or fractured though, so there’ll need to be something else to help us along…
- The Platform is the Message (.pdf) – James Grimmelman’s essay starts with Tide Pods and ends with Fake News, with stops at kayfabe and Peppa Pig along the way, and is well worth reading.
All of these videos, and all of these links, everything going back to the
Onion is both a joke and not a joke. It’s easy to find videos of people holding
up Tide Pods, sympathetically noting how tasty they look, and then giving
a finger-wagging speech about not eating them because they’re dangerous.
Are these sincere anti-pod-eating public service announcements? Or are they
surfing the wave of interest in pod-eating by superficially claiming to denounce
it? Both at once? Are these part of the detergent-eating phenomenon
- - -
DFT (PBE) results for a relaxed structure of ZrCuPd.

Computed properties:
Volume = 16.97 Å³ per atom
Space group = P-1
Total magnetic moment = 0.00 μB per cell
Excess energy over the best structure of this formula in the dataset = 90 meV per atom

Unit cell a=4.740 b=4.767 c=5.363 alpha=77.41 beta=89.99 gamma=60.22
Positions (direct):
1 Zr 0.132 0.236 0.305
2 Zr 0.868 0.764 0.695
3 Cu 0.463 0.574 0.255
4 Cu 0.537 0.426 0.745
5 Pd 0.222 0.055 0.829
6 Pd 0.778 0.945 0.171
- - -
Back to the article:
(forbidden), or are they critical commentary on it (acceptable)? Online
culture is awash in layers of irony; there is a sense in which there is no such
-- What comes next are records of crystals, not part of the entry --
'''
LiFeP2HO7: optimized geometry, PBE+U.

Its total energy is -6.6708 eV/atom. As for the spin magnetization: 8.00 μB per cell.

The structure belongs to space group P-1 (No. 2); the cell edges are 6.002, 6.793 and 7.801 Å and the angles 87.19°, 82.13° and 69.55°. The inequivalent atoms are Li at (0.073, 0.349, 0.119), Fe at (0.245, 0.700, 0.257), P at (0.247, 0.231, 0.706), P at (0.395, 0.790, 0.845), H at (0.299, 0.581, 0.690), O at (0.070, 0.230, 0.581), O at (0.100, 0.327, 0.877), O at (0.210, 0.717, 0.759), O at (0.301, 0.852, 0.031), O at (0.359, 0.379, 0.189), O at (0.417, 0.989, 0.737) and O at (0.432, 0.336, 0.638).
'''
thing as a pure exemplar of eating a Tide Pod unironically or a critique of
the practice that is not also in part an advertisement for it. All one can say is
that the Tide Pod cluster of memes and practices attract attention: the controversy
only adds to the attention.
The difficulty of distinguishing between a practice, a parody of the practice,
and a commentary on the practice is bad news for any legal doctrines that try to distinguish among them,18 and for any moderation guidelines or
ethical principles that try to draw similar distinctions. I cannot think of any
Tide Pod content that could not make a colorable claim to be a transformative
use; I cannot think of any Tide Pod content that would not be at least
marginally newsworthy.
Great essay, a little on the pessimistic side, but I can’t dispute anything either…
- The Battle of New York: An ‘Avengers’ Oral History – There’s a lot of sloppy stuff in the first Avengers movie that I don’t like very much, but I still love that movie and rewatch it often because of the finale, one of the great extended action sequences of our time, and it really sends you away on a high that most movies cannot manage.
- Jones BBQ and foot massage – It’s so disappointing that this isn’t a real establishment.
That’s all for now…